Yesterday, the News reported that Yale will offer gender-neutral housing options to rising seniors this fall. We applaud the decision by the Yale administration both because it is the right action to take and because it recognizes the serious interest students have shown in this issue.
Most people’s natural inclination — and, indeed, ours — is to assume that undergraduates at Yale would choose, if given the option, to live with others of the same gender. Nobody likes the idea of boyfriends and girlfriends living together; and there is something to be said for the friendships that form in single-sex suites. At the same time, there is an undeniable discomfort for many students, especially transgender students, who feel left out by Yale’s current housing policy.
By giving students the choice of selecting suitemates regardless of gender, Yale is making strides toward creating a campus that is fair and welcoming to all. The University moved slowly to this decision, in part because the residential college system makes such policy changes cumbersome, but also because there were serious questions that remained unanswered last year. Now we have a pilot program that should put to rest any criticisms, and we hope that by next year the gender-neutral housing option will be available to all sophomores, juniors and seniors.
_Attached: data records_
........
C24H53BBrINO | the ωB97M-V functional and the def2-TZVPD basis

Calculated values
**2S+1**: 1
**Kohn-Sham gap**: 0.2735 hartree
**Total charge**: -1
**F_max**: 1.2 eV Å⁻¹

Last columns: bonded neighbours and bond lengths (Å).
Positions of all 82 atoms, in Å:
1 C -3.914 1.931 0.848  C2 1.527, H23 1.084, H24 1.086, H25 1.089
2 C -3.255 0.586 0.552  C1 1.527, C3 1.541, H26 1.088, H27 1.090
3 C -2.025 0.704 -0.369  C2 1.541, C4 1.533, H28 1.089, H29 1.088
4 C -0.713 0.385 0.359  C3 1.533, C5 1.550, H30 1.088, H31 1.091
5 C -0.148 1.584 1.163  C4 1.550, B6 1.690, H32 1.091, H33 1.087
6 B 1.099 2.474 0.450  C5 1.690, C7 1.654, C15 1.646, C19 1.670
7 C 2.509 1.808 1.002  B6 1.654, C8 1.535, H34 1.094, H35 1.088
8 C 3.010 0.578 0.232  C7 1.535, C9 1.548, H36 1.089, H37 1.089
9 C 3.937 -0.334 1.071  C8 1.548, C10 1.523, H38 1.088, H39 1.091
10 C 5.335 -0.478 0.484  C9 1.523, C11 1.520, H40 1.087, H41 1.090
11 C 6.058 -1.687 1.055  C10 1.520, O12 1.422, H42 1.087, H43 1.094
12 O 7.475 -1.674 0.936  C11 1.422, C13 1.422
13 C 7.961 -1.512 -0.391  O12 1.422, C14 1.528, H44 1.087, H45 1.089
14 C 8.507 -0.104 -0.625  C13 1.528, H46 1.084, H47 1.083, H48 1.085
15 C 0.906 2.387 -1.182  B6 1.646, C16 1.536, H49 1.088, H50 1.089
16 C 1.626 3.379 -2.108  C15 1.536, C17 1.531, Br18 1.965, H51 1.081
17 C 0.820 4.639 -2.435  C16 1.531, H52 1.084, H53 1.087, H54 1.084
18 Br 3.425 3.925 -1.536  C16 1.965
19 C 0.927 4.045 0.988  B6 1.670, C20 1.518, H55 1.093, H56 1.090
20 C 1.658 4.455 2.253  C19 1.518, C21 1.534, I22 2.161, H57 1.083
21 C 1.531 5.963 2.507  C20 1.534, H58 1.085, H59 1.088, H60 1.085
22 I 0.908 3.511 4.047  C20 2.161
23 H -3.211 2.581 1.356  C1 1.084
24 H -4.234 2.436 -0.059  C1 1.086
25 H -4.741 1.775 1.539  C1 1.089
26 H -2.990 0.160 1.518  C2 1.088
27 H -4.016 -0.062 0.118  C2 1.090
28 H -2.158 0.036 -1.219  C3 1.089
29 H -2.024 1.727 -0.739  C3 1.088
30 H 0.008 -0.077 -0.312  C4 1.088
31 H -0.980 -0.397 1.071  C4 1.091
32 H -1.002 2.217 1.407  C5 1.091
33 H 0.185 1.183 2.116  C5 1.087
34 H 3.335 2.524 0.983  C7 1.094
35 H 2.423 1.518 2.047  C7 1.088
36 H 2.196 -0.049 -0.128  C8 1.089
37 H 3.583 0.902 -0.636  C8 1.089
38 H 4.019 0.025 2.094  C9 1.088
39 H 3.500 -1.332 1.135  C9 1.091
40 H 5.921 0.418 0.671  C10 1.087
41 H 5.235 -0.581 -0.596  C10 1.090
42 H 5.856 -1.717 2.124  C11 1.087
43 H 5.633 -2.598 0.624  C11 1.094
44 H 7.206 -1.770 -1.129  C13 1.087
45 H 8.783 -2.218 -0.505  C13 1.089
46 H 8.666 0.343 0.349  C14 1.084
47 H 9.442 -0.127 -1.172  C14 1.083
48 H 7.796 0.525 -1.152  C14 1.085
49 H 1.113 1.395 -1.579  C15 1.088
50 H -0.152 2.548 -1.380  C15 1.089
51 H 1.791 2.886 -3.055  C16 1.081
52 H 1.122 5.489 -1.835  C17 1.084
53 H 0.972 4.899 -3.479  C17 1.087
54 H -0.239 4.446 -2.305  C17 1.084
55 H -0.123 4.303 1.149  C19 1.093
56 H 1.278 4.765 0.248  C19 1.090
57 H 2.719 4.243 2.216  C20 1.083
58 H 1.630 6.484 1.561  C21 1.085
59 H 2.266 6.325 3.222  C21 1.088
60 H 0.547 6.206 2.895  C21 1.085
........
But as pleased as we are about the decision itself, we are more pleased that Yale officials made it in part as a response to student activism. Whatever one might think about the specifics of gender-neutral housing, there is no denying that it is good to see students fighting for a change they think is worthwhile. Yesterday’s announcement should serve as a reminder that we who are here today have a chance to shape the Yale of tomorrow.
Interestingly, the push for gender-neutral housing at Yale began not through a large student group or major organization, but rather with one passionate individual: Edward Chang ’10, then the queer resources coordinator for the Lesbian, Gay, Bisexual and Transgender Cooperative at Yale. In late 2007, Chang submitted a proposal to the Council of Masters for a gender-neutral housing option. It was rejected rather quickly, but shortly thereafter officials created a committee on gender-neutral housing and other groups took action. Rich Tao ’10, last year’s Yale College Council president, was an indefatigable advocate of gender-neutral housing, and other students have written reports, met with administrators, circulated petitions and even slept on Cross Campus when it was below freezing to show their support for the cause.
We mustn’t forget that there are always worthwhile causes to champion, and we hope students will take this moment to remember the power they themselves have to effect change on this campus and in the wider world. Even as the YCC has placed more emphasis on events than issues this year, there is room for the rest of us — and, above all, next year’s YCC president — to step up and take seriously issues such as the upcoming review of the Committee on Yale College Education’s 2003 report, the return of the Reserve Officers’ Training Corps and the full-scale implementation of gender-neutral housing.
It seems that we may need a few more Edward Changs.